Listen a Lot, Talk a Little (Part 3 of 3)
- Posted: 10/9/12 (revised: 10/9/12)
- Category: Amateur Radio Electronics Software
In the previous sections, we eavesdropped on a live conversation between two ham stations, one in Windsor Ontario and the other in Venezuela on the northern coast of South America. And I mentioned that while you’ll find hams of all ages working the bands at all hours of day or night, it’s also true that the majority of them tend to be older gentlemen.
**The article is interrupted by records of crystals**
'''
1.
Structure and computed powder XRD pattern of GdCo2Ni2B (a DFT-relaxed cell (PBE, the Materials Project); Cu Kα X-rays).
Neutral-atom scattering factors, no anomalous dispersion.

Peak list (12 most intense, 10° ≤ 2θ ≤ 90°, in order of falling intensity)
index	two_theta	intensity
2 0 2	44.74	100.0
0 2 2	33.31	86.2
2 2 0	41.48	74.3
1 3 0	35.72	32.4
1 5 2	62.61	18.8
3 3 2	70.53	18.2
2 2 4	69.94	14.8
1 3 4	66.07	14.8
2 6 0	75.61	14.1
1 1 0	20.40	13.2
0 0 4	53.57	12.5
0 0 3	39.51	10.9

Atomic structure:
abc: 5.021 8.719 6.842
angles: 90.00 90.00 90.00
Space group Cmm2 (No. 35)
One atom of each set of equivalent atoms:
Gd: 0.000 0.000 0.000
Gd: 0.000 0.000 0.496
Co: 0.000 0.500 0.206
Co: 0.000 0.500 0.792
Co: 0.250 0.250 0.208
Ni: 0.000 0.336 0.498
Ni: 0.250 0.250 0.790
B: 0.000 0.334 0.001

---

2.
Structure and computed powder XRD pattern of GdCoNi3B (a DFT-relaxed cell (PBE, the Materials Project); Cu Kα X-rays).
Neutral-atom scattering factors, no anomalous dispersion.

Peak list (12 most intense, 10° ≤ 2θ ≤ 90°, in order of falling intensity)
index	two_theta	intensity
1 1 2	44.67	100.0
1 0 2	33.08	91.4
2 0 0	41.71	77.6
1 1 0	35.91	30.2
2 1 2	62.76	28.9
3 0 2	70.67	24.2
2 2 0	76.13	21.3
2 0 4	69.42	15.2
1 1 4	65.49	14.9
1 0 0	20.51	13.0
0 0 4	52.77	12.8
3 1 2	85.55	12.3

Atomic structure:
abc: 5.0013 5.0013 6.9386
angles: 90.00 90.00 120.00
Space group P6/mmm (No. 191)
One atom of each set of equivalent atoms:
Gd: 0.0000 0.0000 0.0000
Gd: 0.0000 0.0000 0.5000
Co: 0.3333 0.6667 0.0000
Ni: 0.0000 0.5000 0.2929
B: 0.3333 0.6667 0.5000

---

3.
Structure and computed powder XRD pattern of GdYCo4B4 (a DFT-relaxed cell (PBE, the Materials Project); Cu Kα X-rays).
Neutral-atom scattering factors, no anomalous dispersion.

Peak list (12 most intense, 10° ≤ 2θ ≤ 90°, in order of falling intensity)
index	two_theta	intensity
1 1 2	40.61	100.0
1 0 1	26.78	66.3
1 0 3	38.05	39.1
0 0 4	37.87	28.8
2 0 0	51.42	28.5
2 0 4	65.61	21.7
1 1 6	70.24	20.9
3 1 2	89.64	19.4
2 1 1	58.92	15.1
2 1 3	65.73	14.9
1 0 5	54.77	10.6
2 2 4	87.91	9.6

Atomic structure:
abc: 3.554 3.554 9.504
angles: 90.00 90.00 90.00
Space group P4/mmm (No. 123)
One atom of each set of equivalent atoms:
Gd: 0.000 0.000 0.000
Y: 0.500 0.500 0.500
Co: 0.000 0.500 0.252
B: 0.000 0.000 0.350
B: 0.500 0.500 0.154

---

4.
Structure and computed powder XRD pattern of Co21Ge2B6 (a DFT-relaxed cell (PBE, the Materials Project); Cu Kα X-rays).
Neutral-atom scattering factors, no anomalous dispersion.

Peak list (12 most intense, 10° ≤ 2θ ≤ 90°, in order of falling intensity)
index	two_theta	intensity
3 3 3	45.06	100.0
4 2 2	42.36	34.5
4 2 0	38.51	27.5
5 3 1	51.73	26.0
4 4 0	49.31	23.1
6 6 0	77.47	22.5
5 5 5	79.38	12.9
6 0 0	52.52	11.7
6 2 2	58.57	8.5
6 4 4	74.90	7.6
9 1 1	84.42	7.2
4 0 0	34.31	5.4

Atomic structure:
abc: 10.454 10.454 10.454
angles: 90.00 90.00 90.00
Space group Fm-3m (No. 225)
One atom of each set of equivalent atoms:
Co: 0.000 0.000 0.000
Co: 0.000 0.168 0.168
Co: 0.119 0.119 0.381
'''
In this third and final part, we will find out more about the special mode of communication I was using. It’s quite new.
This mode, called BSPK-31, is somewhat like the old Morse Code in that a little bit of power can go a very long way. But this new mode uses computers to do the work of coding and decoding so it’s actually extremely easy to use. If you can type, you can talk.
Hams use different modes of communication depending on conditions, personal interests, and budget. Morse code, normal voice with microphones, radio teletype (RTTY) and even amateur television (!) have all been around for many decades.
But the mode I’m using here is new as of about 1998. It pretty much requires a computer and also some sophisticated electronics in the transmitter and receiver. But that “sophistication” isn’t necessarily expensive. It’s just “special”.
What makes this particular mode called BPSK-31 interesting is that it 1) uses only a tiny sliver of radio space, 2) focuses all the transmitter’s energy into that tiny little area, and 3) because of that, on a good day the signal can go thousands of miles using almost no power at all.
It’s ideal for battery operation and, with a notebook computer running on its batteries on which to do the typing and display the results, this is the ideal mode for long-distance emergency communications.
My transmitter puts out 4.5 watts and I use not much more than a simple piece of wire thrown up in a tree for the antenna.
- If you have an old style night light, those are 7 watts.
- Or an old battery-operated flashlight, those use about 10 watts.
- The newer LED flashlights, if you get a crappy one, may use less than my radio. The better ones will use about the same or a little more. (And the LEDs rarely fail – you’ve replaced all your old incandescent flashlights with LED ones, right?)
But you won’t see any of these from more than a mile or two away. Too many things such as trees, houses, rain, fog and just plain dust in the air will stop that visible beam of light.
When the ionosphere is strongly reflective, my little 4.5 watts can easily go thousands of miles. Indeed, just after listening to these two gents talk about their antennas and radios, I called and “spoke” – in BPSK-31, everything is typed on the computer keyboard – with VE3NOO, Michael, in Bath Ontario. He was using 30 watts (that’s about what the light in your refrigerator uses) and was, as they say, blowing out my doors with a very strong signal.
The ionosphere is like a giant spherical ball encasing the Earth. On a good day, it’s an almost impenetrable mirror at the frequencies we use. Instead, radio signals inside that ball bounce up and down many times as they travel around the world. Single-bounce conversations are routine. Two- and three- bounces less so. But on very rare occasions, you can actually hear your own signal coming from behind you after it has made its way all the way around.
The antenna I use is a 33’ piece of wire run up with a pulley on the side of a palm tree in my front yard. Some hams have towers and large multi-element beam arrays to swing around way up and focus their signal in a specific direction but, on a good day, my simple vertical half-wave wire works just fine for me.
My call sign?
It’s K7EDS.
See you down the waterfall!